### Brief
What is needed: quote all of the block below with every line break kept.

### Listing
+++
The following is a DFT calculation (ωB97M-V/def2-TZVPD) of a cluster of 11 separate species, C60H142BN10O26 in total at a distorted geometry.

XYZ file:
```
239
Properties=species:S:1:pos:R:3:forces:R:3
O 0.402129 24.262983 -52.165644 1.49 -2.10 3.52
C 0.695425 23.743781 -51.054973 -1.45 2.44 -3.47
O 1.506783 24.242886 -50.164918 0.93 1.65 0.32
B 1.464640 23.591878 -48.831576 -0.88 -1.43 -0.78
O 0.514054 22.464442 -49.168138 0.58 0.26 0.44
C 0.090876 22.531682 -50.407741 -2.74 -3.65 -0.63
O -0.690601 21.686750 -50.902817 2.20 2.59 0.86
O 0.901982 24.362987 -47.660895 -0.54 -0.21 -1.81
C 1.851835 24.610940 -46.842419 3.29 3.00 3.54
O 1.942433 25.469248 -45.919656 -1.03 -3.33 -3.25
C 3.145910 23.762084 -47.269680 -1.70 0.12 -0.54
O 2.822559 23.156057 -48.468225 -0.21 0.81 1.35
O 4.165012 23.689737 -46.673085 0.31 -0.27 -0.25
C 1.268143 28.297431 -44.512693 -0.03 0.06 -0.54
O 2.008017 28.635313 -43.381828 0.44 1.42 0.59
C 2.715994 29.901554 -43.490899 -1.30 -2.13 -0.50
C 3.194722 30.320758 -42.168340 -0.53 1.55 2.10
N 3.959614 29.435293 -41.279808 0.57 0.69 -0.44
C 4.504544 30.219018 -40.139938 -0.39 -0.27 -0.40
C 5.712799 31.090784 -40.561145 -1.20 0.78 -0.16
O 6.461227 30.398687 -41.527391 0.97 0.11 0.32
C 7.290211 31.237252 -42.335856 -1.00 -1.47 -0.83
H 0.556809 29.012984 -44.925108 0.18 1.18 0.33
H 0.560861 27.506621 -44.262763 0.81 -0.73 -0.03
H 1.983805 28.128269 -45.317248 -0.36 -0.79 -0.35
H 1.961966 30.616723 -43.819639 0.22 0.45 -0.22
H 3.545842 29.893190 -44.197574 0.01 -0.49 -0.47
H 2.330799 30.700306 -41.622745 -0.26 -0.29 0.34
H 3.747095 31.243368 -42.346576 0.38 0.42 -0.26
H 4.801244 29.355983 -41.832503 0.24 -1.23 -0.07
H 4.784032 29.564832 -39.314091 0.20 -0.36 -0.26
H 3.666645 30.786973 -39.735640 0.22 0.55 0.03
H 6.249321 31.470361 -39.691566 0.53 -0.44 0.17
H 5.391712 31.999057 -41.071079 -0.51 0.29 0.08
H 7.346826 30.672636 -43.266505 0.60 -0.17 -0.08
H 8.294694 31.375278 -41.935786 -0.21 0.45 0.17
H 6.728276 32.106698 -42.677038 0.31 0.62 0.64
C 5.146019 23.528580 -50.663563 0.99 0.16 1.93
O 5.450822 22.227856 -51.133995 -1.02 -2.50 -0.97
C 4.602180 21.152903 -50.640447 0.98 1.57 -0.02
C 5.120134 19.748425 -51.011116 0.27 -0.92 -1.47
N 4.560719 19.491618 -52.374561 1.51 2.98 1.34
C 5.110329 20.380540 -53.390195 -0.40 -2.29 -1.96
C 4.342087 20.043904 -54.680860 -1.49 0.23 -0.15
O 2.929717 19.970668 -54.355576 1.51 -1.09 -0.87
C 2.249428 21.124497 -53.938300 -0.37 0.44 -1.26
H 5.719574 24.259203 -51.233927 -0.19 -0.27 -0.18
H 5.580629 23.442378 -49.667678 0.02 0.99 0.40
H 4.123593 23.855389 -50.473949 -0.34 -0.56 -0.78
H 3.599967 21.363273 -51.013829 -0.37 -0.39 0.03
H 4.521479 21.149238 -49.553452 0.12 0.22 0.27
H 4.874948 18.955105 -50.304979 -0.70 0.34 -0.08
H 6.192678 19.614300 -51.151684 0.18 0.85 0.26
H 3.553053 19.509032 -52.441121 -0.78 -0.87 -0.24
H 6.164854 20.196447 -53.595575 0.14 0.20 0.69
H 4.911581 21.446656 -53.280695 0.02 0.26 1.10
H 4.569044 19.097305 -55.171314 0.12 -0.22 0.58
H 4.596154 20.786784 -55.436954 -0.36 0.43 0.06
H 2.553536 21.995314 -54.519065 0.78 0.42 0.60
H 2.308201 21.176948 -52.851152 -0.37 0.78 -0.05
H 1.240189 21.049669 -54.343172 -0.39 -0.43 0.81
C 4.898268 28.971718 -60.718178 0.05 0.77 -1.38
O 5.388595 28.908588 -59.412722 -0.39 -1.31 -0.65
C 5.487753 27.527803 -59.025223 0.28 0.99 1.65
C 5.986293 27.665963 -57.560134 0.56 -1.54 -0.48
N 6.478621 26.340893 -57.040291 -1.21 1.63 -2.05
C 5.406360 25.415149 -56.701923 1.72 0.10 2.37
C 4.726636 25.768288 -55.363103 -0.15 -0.02 -0.82
O 4.376527 24.541449 -54.740964 -0.75 0.20 0.13
C 3.532803 24.778378 -53.620991 -0.11 0.13 -0.02
H 5.589626 28.667691 -61.504111 0.77 -0.46 0.24
H 4.724733 30.007957 -61.008339 -0.45 0.09 0.46
H 4.027653 28.350131 -60.927318 -0.45 0.13 0.50
H 6.174771 26.952839 -59.646127 0.31 0.18 -0.02
H 4.523029 27.021796 -59.062148 -0.31 0.15 -0.15
H 5.184953 28.082278 -56.949690 -0.18 0.01 0.09
H 6.738655 28.449632 -57.649132 0.42 -0.39 0.45
H 7.280558 26.333707 -56.426334 -0.44 0.16 0.09
+++

### Solution
The following is a DFT calculation (ωB97M-V/def2-TZVPD) of a cluster of 11 separate species, C60H142BN10O26 in total at a distorted geometry.

XYZ file:
```
239
Properties=species:S:1:pos:R:3:forces:R:3
O 0.402129 24.262983 -52.165644 1.49 -2.10 3.52
C 0.695425 23.743781 -51.054973 -1.45 2.44 -3.47
O 1.506783 24.242886 -50.164918 0.93 1.65 0.32
B 1.464640 23.591878 -48.831576 -0.88 -1.43 -0.78
O 0.514054 22.464442 -49.168138 0.58 0.26 0.44
C 0.090876 22.531682 -50.407741 -2.74 -3.65 -0.63
O -0.690601 21.686750 -50.902817 2.20 2.59 0.86
O 0.901982 24.362987 -47.660895 -0.54 -0.21 -1.81
C 1.851835 24.610940 -46.842419 3.29 3.00 3.54
O 1.942433 25.469248 -45.919656 -1.03 -3.33 -3.25
C 3.145910 23.762084 -47.269680 -1.70 0.12 -0.54
O 2.822559 23.156057 -48.468225 -0.21 0.81 1.35
O 4.165012 23.689737 -46.673085 0.31 -0.27 -0.25
C 1.268143 28.297431 -44.512693 -0.03 0.06 -0.54
O 2.008017 28.635313 -43.381828 0.44 1.42 0.59
C 2.715994 29.901554 -43.490899 -1.30 -2.13 -0.50
C 3.194722 30.320758 -42.168340 -0.53 1.55 2.10
N 3.959614 29.435293 -41.279808 0.57 0.69 -0.44
C 4.504544 30.219018 -40.139938 -0.39 -0.27 -0.40
C 5.712799 31.090784 -40.561145 -1.20 0.78 -0.16
O 6.461227 30.398687 -41.527391 0.97 0.11 0.32
C 7.290211 31.237252 -42.335856 -1.00 -1.47 -0.83
H 0.556809 29.012984 -44.925108 0.18 1.18 0.33
H 0.560861 27.506621 -44.262763 0.81 -0.73 -0.03
H 1.983805 28.128269 -45.317248 -0.36 -0.79 -0.35
H 1.961966 30.616723 -43.819639 0.22 0.45 -0.22
H 3.545842 29.893190 -44.197574 0.01 -0.49 -0.47
H 2.330799 30.700306 -41.622745 -0.26 -0.29 0.34
H 3.747095 31.243368 -42.346576 0.38 0.42 -0.26
H 4.801244 29.355983 -41.832503 0.24 -1.23 -0.07
H 4.784032 29.564832 -39.314091 0.20 -0.36 -0.26
H 3.666645 30.786973 -39.735640 0.22 0.55 0.03
H 6.249321 31.470361 -39.691566 0.53 -0.44 0.17
H 5.391712 31.999057 -41.071079 -0.51 0.29 0.08
H 7.346826 30.672636 -43.266505 0.60 -0.17 -0.08
H 8.294694 31.375278 -41.935786 -0.21 0.45 0.17
H 6.728276 32.106698 -42.677038 0.31 0.62 0.64
C 5.146019 23.528580 -50.663563 0.99 0.16 1.93
O 5.450822 22.227856 -51.133995 -1.02 -2.50 -0.97
C 4.602180 21.152903 -50.640447 0.98 1.57 -0.02
C 5.120134 19.748425 -51.011116 0.27 -0.92 -1.47
N 4.560719 19.491618 -52.374561 1.51 2.98 1.34
C 5.110329 20.380540 -53.390195 -0.40 -2.29 -1.96
C 4.342087 20.043904 -54.680860 -1.49 0.23 -0.15
O 2.929717 19.970668 -54.355576 1.51 -1.09 -0.87
C 2.249428 21.124497 -53.938300 -0.37 0.44 -1.26
H 5.719574 24.259203 -51.233927 -0.19 -0.27 -0.18
H 5.580629 23.442378 -49.667678 0.02 0.99 0.40
H 4.123593 23.855389 -50.473949 -0.34 -0.56 -0.78
H 3.599967 21.363273 -51.013829 -0.37 -0.39 0.03
H 4.521479 21.149238 -49.553452 0.12 0.22 0.27
H 4.874948 18.955105 -50.304979 -0.70 0.34 -0.08
H 6.192678 19.614300 -51.151684 0.18 0.85 0.26
H 3.553053 19.509032 -52.441121 -0.78 -0.87 -0.24
H 6.164854 20.196447 -53.595575 0.14 0.20 0.69
H 4.911581 21.446656 -53.280695 0.02 0.26 1.10
H 4.569044 19.097305 -55.171314 0.12 -0.22 0.58
H 4.596154 20.786784 -55.436954 -0.36 0.43 0.06
H 2.553536 21.995314 -54.519065 0.78 0.42 0.60
H 2.308201 21.176948 -52.851152 -0.37 0.78 -0.05
H 1.240189 21.049669 -54.343172 -0.39 -0.43 0.81
C 4.898268 28.971718 -60.718178 0.05 0.77 -1.38
O 5.388595 28.908588 -59.412722 -0.39 -1.31 -0.65
C 5.487753 27.527803 -59.025223 0.28 0.99 1.65
C 5.986293 27.665963 -57.560134 0.56 -1.54 -0.48
N 6.478621 26.340893 -57.040291 -1.21 1.63 -2.05
C 5.406360 25.415149 -56.701923 1.72 0.10 2.37
C 4.726636 25.768288 -55.363103 -0.15 -0.02 -0.82
O 4.376527 24.541449 -54.740964 -0.75 0.20 0.13
C 3.532803 24.778378 -53.620991 -0.11 0.13 -0.02
H 5.589626 28.667691 -61.504111 0.77 -0.46 0.24
H 4.724733 30.007957 -61.008339 -0.45 0.09 0.46
H 4.027653 28.350131 -60.927318 -0.45 0.13 0.50
H 6.174771 26.952839 -59.646127 0.31 0.18 -0.02
H 4.523029 27.021796 -59.062148 -0.31 0.15 -0.15
H 5.184953 28.082278 -56.949690 -0.18 0.01 0.09
H 6.738655 28.449632 -57.649132 0.42 -0.39 0.45
H 7.280558 26.333707 -56.426334 -0.44 0.16 0.09